[Source]
<<<
Entry 1:
C6H9NO2 as an isolated structure at a distorted geometry. Source: the Open Molecules 2025 dataset; level of theory: the ωB97M-V functional and the def2-TZVPD basis.

Structure (ORCA input):
```
! wB97M-V def2-TZVPD RIJCOSX def2/J DEFGRID3
* xyz 0 1
C 0.450 -1.622 0.384
N 0.274 -0.449 -0.460
C -2.214 -0.424 -0.084
C -0.514 0.546 -0.149
C 1.650 0.486 -0.743
C -0.667 1.823 0.148
C 2.766 0.317 -0.060
O -3.222 0.463 0.141
O -2.489 -1.578 -0.313
H -4.075 -0.010 0.122
H 1.521 1.113 -1.613
H 1.262 -2.213 -0.040
H 0.691 -1.365 1.418
H -0.477 -2.191 0.383
H 0.161 2.492 0.310
H -1.663 2.236 0.173
H 2.832 -0.295 0.828
H 3.713 0.673 -0.447
*
```

Frontier orbital gap in eV: 9.4505
ΔE to the lowest compared entry with this formula, charge and spin in kJ/mol: 411.5
E_tot in hartree: -439.1196

Mulliken atomic charge list, values in e, 2 entries:
1 C -0.9737
2 N -0.0209

Entry 2:
A 2-piece molecular cluster, C6H9NO2 overall at a distorted geometry. Source: the Open Molecules 2025 dataset; level of theory: the ωB97M-V functional and the def2-TZVPD basis.

Structure (ORCA input):
```
! wB97M-V def2-TZVPD RIJCOSX def2/J DEFGRID3
* xyz 0 3
C -0.060 -1.525 -1.214
C -0.147 -0.402 -1.972
C -0.266 -1.215 0.226
C -0.423 0.706 -1.165
C -0.526 0.304 0.259
C 0.453 1.078 1.141
N -2.913 0.948 -1.518
O -3.394 1.121 -2.603
O -3.415 0.820 -0.430
H 0.142 -2.519 -1.567
H -0.021 -0.355 -3.038
H -1.098 -1.789 0.638
H 0.620 -1.478 0.811
H -0.395 1.732 -1.482
H -1.550 0.507 0.618
H 0.361 0.766 2.177
H 0.252 2.144 1.079
H 1.474 0.901 0.810
*
```

Frontier orbital gap (spin up / spin down) in eV: 6.8479 / 8.2000
ΔE to the lowest compared entry with this formula, charge and spin in kJ/mol: 56.0
Expectation value of S²: 2.03
E_tot in hartree: -439.0620

Mulliken atomic charge list, values in e, 2 entries:
1 C -0.5524
2 C -0.2650

Entry 3:
The molecule C6H9NO2S. Source: the Open Molecules 2025 dataset; level of theory: the ωB97M-V functional and the def2-TZVPD basis.

Structure (ORCA input):
```
! wB97M-V def2-TZVPD RIJCOSX def2/J DEFGRID3
* xyz 0 1
C -1.681 -2.117 -0.001
C -1.803 -0.760 0.016
C 0.385 -0.902 0.010
C -3.075 0.015 0.033
C 1.955 1.036 -0.065
C 1.825 -0.485 0.014
N -0.616 -0.098 0.021
O 2.375 -0.983 1.210
O 2.416 -1.107 -1.102
S -0.028 -2.588 -0.009
H -2.459 -2.853 -0.010
H -3.186 0.526 0.989
H -3.056 0.771 -0.749
H -3.925 -0.645 -0.119
H 3.008 1.320 -0.065
H 1.484 1.391 -0.976
H 1.457 1.484 0.789
H 3.282 -0.668 1.310
H 3.339 -0.836 -1.178
*
```

Frontier orbital gap in eV: 9.4361
ΔE to the lowest compared entry with this formula, charge and spin in kJ/mol: 0.0
Structure (SMILES): Cc1csc(C(C)(O)O)n1
E_tot in hartree: -837.4587

Mulliken atomic charge list, values in e, 2 entries:
1 C -0.4318
2 C 0.3151

Entry 4:
C6H9NO3 as an isolated structure at a distorted geometry. Source: the Open Molecules 2025 dataset; level of theory: the ωB97M-V functional and the def2-TZVPD basis.

Structure (ORCA input):
```
! wB97M-V def2-TZVPD RIJCOSX def2/J DEFGRID3
* xyz 0 1
C -0.660 -0.478 0.751
C -1.662 0.658 0.785
C -0.472 -0.711 -1.435
C -1.340 -0.574 -2.305
H -0.162 -0.507 1.725
H -1.112 -1.468 0.675
H -2.286 0.686 -0.111
H -2.333 0.550 1.643
H -1.172 1.629 0.884
H -2.362 -0.424 -2.557
C 1.406 1.105 0.066
C 1.177 -0.398 -0.010
N 2.157 -1.115 0.599
O 0.905 1.832 -0.928
O 1.965 1.581 1.020
O 0.854 -0.912 -1.258
H 0.397 1.276 -1.554
H 2.006 -2.107 0.710
H 2.695 -0.624 1.302
*
```

Frontier orbital gap in eV: 9.0008
ΔE to the lowest compared entry with this formula, charge and spin in kJ/mol: 461.6
E_tot in hartree: -514.3370

Mulliken atomic charge list, values in e, 2 entries:
1 C -0.6979
2 C -0.9247

Entry 5:
The molecule C6H9NO3 at a distorted geometry. Source: the Open Molecules 2025 dataset; level of theory: the ωB97M-V functional and the def2-TZVPD basis.

Structure (ORCA input):
```
! wB97M-V def2-TZVPD RIJCOSX def2/J DEFGRID3
* xyz 0 1
C 1.439 0.484 -1.543
C 0.253 0.120 -1.118
C -0.009 -0.675 0.129
C -1.304 -0.323 1.070
C 1.145 -1.531 0.663
>>>

[Job]
Filter the entries earlier on: keep the lines with the word "basis".

[Reply]
C6H9NO2 as an isolated structure at a distorted geometry. Source: the Open Molecules 2025 dataset; level of theory: the ωB97M-V functional and the def2-TZVPD basis.
A 2-piece molecular cluster, C6H9NO2 overall at a distorted geometry. Source: the Open Molecules 2025 dataset; level of theory: the ωB97M-V functional and the def2-TZVPD basis.
The molecule C6H9NO2S. Source: the Open Molecules 2025 dataset; level of theory: the ωB97M-V functional and the def2-TZVPD basis.
C6H9NO3 as an isolated structure at a distorted geometry. Source: the Open Molecules 2025 dataset; level of theory: the ωB97M-V functional and the def2-TZVPD basis.
The molecule C6H9NO3 at a distorted geometry. Source: the Open Molecules 2025 dataset; level of theory: the ωB97M-V functional and the def2-TZVPD basis.